"Barney and I got two worms, twice," Ross said, putting away his phone in his coat. "It felt like deja vu actually."

Jerome suddenly gave a shout of excitement and put down his winning hand of cards on the table. "You owe me lunch!" he half-yelled to Mitch, then continued in a much more normal tone while Mitch sighed in annoyance. "Mitch and I had, like, six different jobs today, it was crazy."

"And we had one spyware too," Mitch added, packing away the cards.

Spyware were a very tricky kind of virus, and hard to spot. They would hide in the background of your computer, gathering information like passwords, browsing habits and bank details. They were similar to trojans, but they couldn't disguise themselves like trojans could. Instead, they ran and hid, so to get rid of them you had to play hide and seek, which was more than a little irritating.

"Have you guys checked in with Jin and Jason yet?" Quentin asked.

"I'll do that," I offered.

Jin and Jason were sitting where they usually were; at a long desk filled with fancy multi-screened computers and TV monitors showing footage of several places around the city, mainly because it looked cool. There were several others sitting further down the desk, each with a black headset and mic on. These guys are a glitch's 'eyes in the mainframe', if that made sense. Without them sitting here, telling us where the viruses were and repairing the firewalls, all of us glitches would be dead.

There were a team of about 7 of them but only a few were sitting at the desk at the moment. I knew a few of them by name and all of them by sight. The two down the end were cousins, both with bright red hair. The girl kept her hair back with a white headband and the guy wore a long sleeved back shirt with a small golden necklace. The two others who were sitting down, Jack and Mark, had the tops of their black hair dyed green and red respectively.

Jin, wearing his usual purple-and-white jumper, was watching lines of code that ran across his screen, faster than I could process but it obviously meant something to him because he nodded to himself every now and then. Jason with his light blue, dark blue and orange clothes was sitting next to him, doing something techie that I couldn't understand. These two led the team as well as running our base of operations. Jason spun around in his wheely-chair as he heard my footsteps.

# Here the piece breaks off for crystal structures
********
1.
DFT (PBE) results for a relaxed SmZnAuO4 crystal.

```
14
Lattice="6.322 0.000 0.000 -3.161 6.286 -0.364 0.000 -3.717 6.112" Properties=species:S:1:pos:R:3 pbc="T T T"
O 0.000 2.129 1.854
Zn 3.161 4.651 0.735
Sm 3.161 0.000 0.000
Zn 0.000 -2.082 5.013
O 1.753 -2.394 4.823
O 4.569 -2.394 4.823
Au -1.580 1.285 2.874
O 3.161 1.801 1.655
O -1.408 4.963 0.925
O 1.408 4.963 0.925
O 3.161 0.440 3.894
Au 1.580 1.285 2.874
Sm 3.161 -1.858 3.056
O 0.000 0.768 4.093
```

Summary:
* total magnetization: 0.00 μB/cell
* E_form (uncorrected): -1.5091 eV/atom
* symmetry: Imma, No. 74

2.
DFT (PBE) results for a relaxed KMgTlCl4 crystal.

```
14
Lattice="7.406 0.000 0.061 0.000 7.315 0.000 -2.820 0.000 8.293" Properties=species:S:1:pos:R:3 pbc="T T T"
Tl 1.782 1.829 0.601
Tl 2.804 5.486 7.753
Cl 3.049 1.829 3.560
K 4.581 5.486 3.726
Cl -0.516 7.286 2.072
Cl 1.779 1.829 7.219
K 0.005 1.829 4.627
Mg 0.935 5.486 2.532
Cl 1.538 5.486 4.793
Cl 2.807 5.486 1.135
Mg 3.651 1.829 5.821
Cl -0.516 3.687 2.072
Cl 5.103 0.029 6.282
Cl 5.103 3.628 6.282
```

Summary:
* total magnetization: 0.00 μB/cell
* E_form (uncorrected): -1.6361 eV/atom
* symmetry: P2_1/m, No. 11

3.
DFT (PBE) results for a relaxed Cs2RbSi2 crystal.

```
5
Lattice="4.059 0.000 0.000 0.000 11.718 0.906 -2.030 -2.442 6.120" Properties=species:S:1:pos:R:3 pbc="T T T"
Cs 0.000 1.970 4.228
Cs 2.030 7.305 2.798
Si 2.030 -0.620 2.891
Rb 0.000 0.000 0.000
Si 0.000 9.896 4.136
```

Summary:
* total magnetization: 0.00 μB/cell
* E_form (uncorrected): 0.0940 eV/atom
* symmetry: C2/m, No. 12

Which formula does entry 2 have?
KMgTlCl4
********

"Hey Adam!" he said cheerfully, taking off his headset and putting it around his neck. Jin glanced up at me, grinned and then went back to looking at the code.

"Hey Jason," I said back. "Thanks for the warning earlier today with that trojan. I was about to lose my head."

"Haha Adam, very funny," Jason said in a not-so-funny tone.

Someone pasted materials data at this point >
/*
Ba2Al4GeAu3: optimized geometry, PBE.

The structure belongs to space group P-4m2 (No. 115); the cell edges are 4.705, 4.705 and 10.464 Å and the angles 90.00°, 90.00° and 90.00°. The asymmetric unit holds Ba at (0.000, 0.500, 0.245), Al at (0.000, 0.000, 0.500), Al at (0.000, 0.500, 0.876), Al at (0.500, 0.500, 0.500), Ge at (0.500, 0.500, 0.000), Au at (0.000, 0.000, 0.000) and Au at (0.000, 0.500, 0.622).

The total energy is -3.87 eV/atom. For the density, the calculation gives 7499 kg/m3. The calculation puts the total moment at 0.00 Bohr magnetons per cell. The density of states at the Fermi level comes out at 5.51 states/eV per cell.
*/

"Sorry, I had to."

"You and Ty got back alright?"

"Yeah, we just had that crazy lady at the end of the street calling about the end of the world and stuff like that."

<<<
No. 1
## In2NiHg (PBE)

Data for a geometry-optimized In2NiHg structure.

Calculated values
The calculation puts the formation energy from the elements at 218 meV per atom. The calculation puts the theoretical density at 9.94 g/cm³. As for the electronic total energy: -2.6718 eV/atom.

Lattice parameters (Å, degrees): 4.446 4.446 8.266 90.00 90.00 90.00
Element x y z (fractional)
In1 0.000 0.500 0.250
In2 0.000 0.500 0.750
In3 0.500 0.000 0.250
In4 0.500 0.000 0.750
Ni1 0.000 0.000 0.000
Ni2 0.500 0.500 0.500
Hg1 0.000 0.000 0.500
Hg2 0.500 0.500 0.000

***

No. 2
## Cr2InIr2 (PBE)

Data for a geometry-optimized Cr2InIr2 structure.

Calculated values
The calculation puts the formation energy from the elements at 39 meV per atom. The calculation puts the theoretical density at 13.10 g/cm³. As for the electronic total energy: -7.9020 eV/atom.

Lattice parameters (Å, degrees): 7.411 7.411 2.785 90.00 90.00 90.00
Element x y z (fractional)
Cr1 0.164 0.336 0.000
Cr2 0.336 0.836 0.000
Cr3 0.664 0.164 0.000
Cr4 0.836 0.664 0.000
In1 0.000 0.000 0.500
In2 0.500 0.500 0.500
Ir1 0.129 0.629 0.500
Ir2 0.371 0.129 0.500
Ir3 0.629 0.871 0.500
Ir4 0.871 0.371 0.500


Record 1
Density functional theory data (PBE-GGA) for a relaxed structure of Nd5SmHo4.

The formation energy comes out at 198 meV/atom. For the density, the calculation gives 7.643 g/cm3. As for the total energy: -89.785 eV for the cell shown.

Cell and atoms, written as POSCAR:
```
Nd5SmHo4
1.0
-0.604 -0.669 5.871
-6.337 -8.325 -1.600
8.409 -6.426 0.132
Nd Sm Ho
10 2 8
direct
0.163 0.839 0.839
0.163 0.161 0.839
0.000 0.500 0.000
0.163 0.839 0.161
0.163 0.161 0.161
0.837 0.661 0.339
0.837 0.339 0.339
0.000 0.000 0.500
0.837 0.339 0.661
0.837 0.661 0.661
0.662 0.000 0.000
0.338 0.500 0.500
0.631 0.000 0.701
0.631 0.701 0.000
0.631 0.299 0.000
0.631 0.000 0.299
0.369 0.500 0.201
0.369 0.799 0.500
0.369 0.201 0.500
0.369 0.500 0.799
```

=====

Record 2
Density functional theory data (PBE-GGA) for a relaxed structure of Hg2OsPb2O6.

For the density, the calculation gives 8.036 g/cm3. As for the total energy: -57.648 eV for the cell shown. The calculation puts the uncorrected formation energy at -0.786 eV/atom.

Cell and atoms, written as POSCAR:
```
Hg2OsPb2O6
1.0
-1.577 -5.662 -1.088
5.224 1.193 2.649
-3.966 0.509 6.285
Hg Os Pb O
2 1 2 6
direct
0.846 0.154 0.000
0.154 0.846 0.000
0.000 0.000 0.500
0.334 0.666 0.500
0.666 0.334 0.500
0.761 0.761 0.646
0.027 0.295 0.644
0.239 0.239 0.354
0.295 0.027 0.644
0.973 0.705 0.356
0.705 0.973 0.356
```

=====

Record 3
Density functional theory data (PBE-GGA) for a relaxed structure of YCrB2Pd.

The formation energy comes out at 2329 meV/atom. For the density, the calculation gives 4.362 g/cm3. As for the total energy: -22.989 eV for the cell shown.

Cell and atoms, written as POSCAR:
```
YCrB2Pd
1.0
-1.113 -3.827 -2.188
-0.499 -2.335 4.338
-4.385 1.196 0.139
Y Cr B Pd
1 1 2 1
direct
0.000 0.000 0.000
0.500 0.500 0.500
0.000 0.000 0.500
0.500 0.000 0.000
>>>
**The calculated crystals stop here**

"What is her problem?" Jin muttered to himself.

Jason grinned, put on his headset again and tapped his mic twice. "Hey Seto, how's it looking?" he asked into the mic.

I heard a voice saying back from the headset "Well I can confirm that that email about the free coupon to a spa bath does not have a virus in it. But I've also figured out that the place that's giving away that coupon isn't all that great, you're better off going to the place next door."

I grinned. Trust Jin to make an AI that has a sense of humour.

"I'll keep it in mind," Jason said. "Did any virus try to get in today?"

"Nope." This was a different voice, slightly lower than the first one. "Third virus-attempted-attack-free day in a row."

"Hey Brice," I said into the mic. Well, the outside of the mic, but it still worked.

"Is that Adam?"


"Hey Adam! Seto, it's Adam."

"Oh, hey Adam! How are you going?"

"Good, good. What about you guys?"

"Same as always."

Seto and Brice are two Artificial Intelligences that Jin made to better protect our server. They live inside the mainframe and they're a lot more human than the AI's that were around several decades ago. With them looking after our base, we can all concentrate on taking out viruses.

"Seto, Brice, I'm gonna take a break," Jason said. "Jin will still be here. I think he's spying on someone again."

"Am not!" Jin said, clearly able to hear the entire conversation through his headset. "I'm looking at the algorithm outputted by the city hall's system."

"Anyway, have a good night guys," Jason said, shutting down his computer and taking off his headset. "Man, that was a long day."

System Failure (An Adesa Fanfic) [Originally by Littlewolf65]Where stories live. Discover now